The U.S. Intelligence Community Wants Disruptive Change as Long as it’s Not Disruptive

The senior defense department official walked up to his whiteboard and made a bunch of scattered black marks on it.
Addressing the intelligence officers seated at his conference table he said, “This whiteboard represents my area of responsibility. And those black marks represent what you have collected data on.” His tone increasingly revealed his frustration as he continued, “Now, every time I say I need to understand that board as a whole you ask me to identify specific knowledge requirements so that you can task your collectors. Well, even if I knew — which I don’t — and even if you could actually collect it all — which you can’t — it would never even be close to sufficient. Sure, the grains you do collect may help a planner here or an acquisition guy there. But for me — a strategic leader — not so much. In sum, this whiteboard would remain mostly white.”
He paused for effect and then said solemnly, “This then illustrates our conundrum: You always believe the solution to our knowledge deficiencies is more collection, I believe the solution is more thinking.”
This story may be apocryphal, but it has circulated for several years now in American intelligence circles. Its longevity is a testament to its power in portraying what is now an inconvenient truth: that the intelligence community was designed for — and its legacy mindsets, structures, and behaviors remain fundamentally geared for — a strategic environment defined by a closed problem set (the Soviet Union) that demanded classified collection in order to gain relevant insight.
Of course, the world has largely moved on. Today, the globalized — interconnected — world is wide-open and awash in what is sometimes termed “U3” — ubiquitous, useful, and unclassified — information. Moreover, it is precisely this U3 information that is the key to understanding the complex (expansive, open, and networked) challenges (think political and economic contagion, pandemics, terrorism, climate change, mass migration, growing influence of Russia and China, transnational crime, proliferation, cyber-security, etc.) that now characterize and dominate the strategic environment.
Admittedly, closed problem sets demanding classified collection still exist. However, the existence of such problem sets hardly precludes strategic (i.e., contextual) understanding if the intelligence community doesn’t let its compulsive fixation with them prevent it from thinking creatively about all the U3 information it already has available. Unfortunately, that is exactly what happens. Consequently, creative thinking — thinking that is holistic in that its practitioner imaginatively synthesizes the myriad connections and/or relationships that characterize the “white spaces” — remains deficient within the intelligence community.
There are several specific ways in which the obsessive focus on secrets contributes to this cognitive deficiency. The first is the fact that classified collection unavoidably brings with it the corollary rule of “need to know.” This in turn fosters compartmentalized — reductionist — views of the issues at hand. Such narrow mindsets can’t help but be antagonistic to the development of truly holistic ones.
Second, classified collection inevitably breeds hierarchy so as to control the flow and distribution of information. Such hierarchical organizational structures both reflect and reinforce the narrow perspectives mentioned above by contributing to the creation of narrow and discrete analytic accounts that are unavoidably detrimental to the development of holistic viewpoints.
Third, and finally, the intelligence community’s nostalgia for its experience with classified collection during the Cold War — when it had a relative monopoly on good information — continues to cause analysts to confuse exclusivity of information with relevance to decision-makers. Consequently, analysts are now conditioned to behave as if it’s the secrets they build their analyses around that guarantee the relevance of said analyses rather than the underlying thought.
Now, none of this is to say that the intelligence community doesn’t appreciate the need for greater creativity and more holistic perspectives. Indeed, there are numerous initiatives — wargames and simulations, the quadrennial “Global Trends” report, red cells and strategic offices, “open-source,” “anticipatory intelligence,” etc. — that suggest this. The problem, however, is that these efforts always seem to remain somehow distinct from, supplemental to, or constrained by the “real” — that is to say, secret — work of the intelligence community. At best, such initiatives are tolerated as long as they don’t disrupt the prevailing classified collection business model. At worst, these initiatives are celebrated — erroneously — as evidence that the intelligence community has successfully evolved and innovated.
Put differently, the intelligence community really is interested in the idea of disruptive change — but only so far as it’s not disruptive.
To change this situation, the intelligence community must get over its now illusory belief that its value-added comes mostly from information to which it alone has access — secrets. Instead, it must recognize that in an interconnected age its value-added will derive more from the ability to help decision-makers understand the strategic context, and how that context potentially enables or hinders any decisions and actions that they or others might be considering. And before the intelligence community howls that “anyone can do that,” it should note that this new role will still require classification at times — but due to the discretionary requirements of the policy process, not its own collection imperatives.
It is, of course, understanding of the strategic context that the official, mentioned in the opening anecdote, was seeking. Still, the intelligence community remains unconvinced. To illustrate, consider how that anecdote was received when recently told to a large group of analysts and analytic managers. After a moment of seeming incredulity, a senior analyst spoke up and said, “I don’t really care what that senior leader thinks intel should provide — he’s not an intelligence officer and doesn’t know anything about what constitutes good intel.” The group laughed heartily in collective endorsement.
== These quantum chemistry results were left in the article by mistake ==
'''
P:
Entry from OMol25: an isolated molecule of C4H4O4 (ωB97M-V/def2-TZVPD).

```
! RIJCOSX wB97M-V def2-TZVPD def2/J DEFGRID3
* xyz 0 1
O 1.9674 -1.0922 0.3325
O -0.7655 0.7306 1.2828
O -0.2143 -1.9898 -0.4999
O -0.6003 2.2433 -1.1246
C -0.1648 0.1552 0.1997
C -1.0783 -0.9950 -0.0687
C -0.1037 1.1276 -1.0731
C 1.0872 -0.4393 0.7771
H 0.9248 -0.0945 1.8117
H -2.3676 -0.9145 -0.0170
H -0.8456 1.6364 1.2057
H 0.7484 1.1457 -1.9379
*
```

The calculation puts the highest occupied orbital energy at -10.1805 eV. Its SMILES is O=CC(O)(C=O)C=O.

***

Q:
Entry from OMol25: an isolated molecule of C4H4O4 (ωB97M-V/def2-TZVPD).

```
! RIJCOSX wB97M-V def2-TZVPD def2/J DEFGRID3
* xyz 0 1
O -2.0721 1.0841 0.2152
O 0.1199 -2.2645 -0.1159
O 1.1908 2.2815 -0.0039
O 2.0098 -0.3850 0.1084
C -1.0683 1.5274 -0.2935
C -0.2824 -0.9628 0.0430
C 0.7177 -0.0538 0.2788
C 0.4006 1.3766 0.1480
H -0.6119 -2.8662 0.0476
H 2.0698 -1.3529 0.0599
H -1.1569 2.4931 -0.8378
H -1.3170 -0.8776 0.3501
*
```

The calculation puts the highest occupied orbital energy at -9.0605 eV. Its SMILES is O=CC(=O)/C(O)=C/O.

***

Need the numbers? Relative energies in eV: P 2.823; Q 0.000.

***

P:
Entry from OMol25: a 3-piece molecular cluster, C3H8NO2S overall (ωB97M-V/def2-TZVPD).

```
! RIJCOSX wB97M-V def2-TZVPD def2/J DEFGRID3
* xyz -1 1
S 3.7149 0.0238 -0.0453
O -0.2970 -1.0457 -2.2428
O -1.4004 0.6018 2.0401
N -1.8564 0.4192 -0.9303
C -0.5571 -0.3431 -1.1650
C 0.5571 0.5131 -0.6265
C 0.0718 -0.8124 0.1871
H -0.5488 -0.4929 1.0394
H -1.6998 1.0765 2.7719
H -2.5831 0.0081 -1.5441
H 0.9487 -1.4517 0.2505
H 3.6187 -0.5209 1.1773
H 0.5797 1.3223 0.1544
H -2.1123 0.1371 0.0530
H 1.5641 0.5650 -1.1198
*
```

The calculation puts the highest occupied orbital energy at -4.1985 eV.

***

Q:
Entry from OMol25: a 2-piece molecular cluster, C3H8NO2S overall (ωB97M-V/def2-TZVPD).

```
! RIJCOSX wB97M-V def2-TZVPD def2/J DEFGRID3
* xyz -1 1
S 1.7293 0.5478 0.0170
O -0.1014 5.6118 3.5692
O -0.0214 -4.2846 -0.1597
N -0.7175 -2.2122 -0.5176
C -0.5661 -0.7713 -0.9678
C 0.2107 -3.1728 -0.6558
C 0.8215 -0.3961 -1.3056
H -0.8084 0.0102 -0.2155
H -0.5257 5.8366 4.3934
H 1.0488 -2.9178 -1.3224
H 0.8285 0.3201 -2.1611
H -0.6300 5.5484 2.7760
H -1.3073 -0.6223 -1.7483
H 1.4942 -1.0638 -1.8348
H -1.4553 -2.4340 0.1329
*
```

The calculation puts the highest occupied orbital energy at -2.5174 eV.

***

R:
Entry from OMol25: a 2-piece molecular cluster, C3H8NO2S overall (ωB97M-V/def2-TZVPD).

```
! RIJCOSX wB97M-V def2-TZVPD def2/J DEFGRID3
* xyz -1 1
S 1.5872 0.2884 1.1319
O -1.6202 -1.4370 1.7792
O -1.6474 -0.5853 -0.9393
N -0.9695 1.4925 -0.3414
C 0.6062 0.0619 -1.6375
C 1.7313 -0.3465 -0.6557
C -0.7953 0.2891 -0.9538
H 0.3970 -0.7833 -2.3018
H -0.7896 -1.4984 2.2584
H -1.3363 -1.2320 0.8793
H 0.7217 0.9850 -2.2047
H -1.5497 1.5345 0.4803
H 1.7273 -1.4470 -0.5874
H 2.7372 -0.0203 -0.8526
H -0.1088 2.0056 -0.2303
*
```

The calculation puts the highest occupied orbital energy at -2.9145 eV.

***

S:
'''
The analytic tradecraft specialist who had just told the story stood quietly for a moment — disappointed but not surprised. He then responded, “You’re right, he’s not an intelligence officer. However, you’re also wrong in that he does, in fact, know one — perhaps the most important — thing about the intelligence he’s receiving: It’s not helping him.”
Josh Kerbel is the Chief Analytic Methodologist at the Defense Intelligence Agency. He writes often and openly about the intersections between government (especially intelligence) and globalization. The views expressed in this article are his alone and do not imply endorsement by the Defense Intelligence Agency, the Department of Defense or the U.S. Government.